L.231 Total Miscellaneous Financial Claims
Billions of dollars; amounts outstanding end of period, not seasonally adjusted

Description Series code 2016 2017 2018 2017 Q3 2017 Q4 2018 Q1 2018 Q2 2018 Q3 2018 Q4 Line
All sectors; total miscellaneous liabilities FL893190005 19754.0 19662.3 19677.1 19882.5 19662.3 19788.4 19387.5 19343.9 19677.1 1
Life insurance companies, general accounts; deferred and unpaid life insurance premiums; asset FL543077073 31.3 33.1 36.0 33.2 33.1 35.5 35.4 36.2 36.0 2
Nonfinancial corporate business; total miscellaneous liabilities FL103190005 4651.5 4329.2 3640.6 4378.7 4329.2 4315.1 3802.6 3728.2 3640.6 3
Nonfinancial noncorporate business; unidentified miscellaneous liabilities FL113193003 1406.2 1447.1 1485.7 1432.0 1447.1 1457.1 1471.2 1478.2 1485.7 4
Federal government; total miscellaneous liabilities FL313190005 2009.5 2005.2 1951.8 2039.6 2005.2 2013.1 2028.5 2008.7 1951.8 5
State and local government employee defined benefit retirement funds; claims of pension fund on sponsor; asset FL223073045 4216.6 4053.9 4724.3 4110.0 4053.9 4158.0 4211.5 4220.1 4724.3 6
Monetary authority; total miscellaneous liabilities FL713190005 63.1 86.2 88.6 101.0 86.2 113.4 94.6 85.2 88.6 7
U.S.-chartered depository institutions; total miscellaneous liabilities FL763190005 2984.3 3104.7 3059.7 3146.3 3104.7 3054.4 3065.5 3062.9 3059.7 8
Foreign banking offices in the U.S.; total miscellaneous liabilities FL753190005 196.6 193.2 182.7 183.8 193.2 205.2 205.5 204.0 182.7 9
Banks in U.S.-affiliated areas; unidentified miscellaneous liabilities FL743193005 4.1 4.4 3.5 3.9 4.4 4.1 4.1 3.4 3.5 10
Credit unions; unidentified miscellaneous liabilities FL473193005 17.2 18.3 19.3 17.7 18.3 18.5 18.9 19.4 19.3 11
Property-casualty insurance companies; total miscellaneous liabilities FL513190005 1236.9 1342.9 1429.4 1371.0 1342.9 1349.1 1370.3 1399.8 1429.4 12
Life insurance companies; total miscellaneous liabilities FL543190005 1370.5 1439.8 1452.4 1432.2 1439.8 1447.5 1451.1 1469.3 1452.4 13
Government-sponsored enterprises; total miscellaneous liabilities FL403190005 110.1 110.5 108.6 109.4 110.5 109.1 111.5 111.5 108.6 14
Finance companies; total miscellaneous liabilities FL613190005 358.1 354.2 286.0 332.5 354.2 332.6 310.2 288.4 286.0 15
Real estate investment trusts; unidentified miscellaneous liabilities FL643193005 96.7 101.5 118.8 112.9 101.5 98.1 105.0 113.0 118.8 16
Security brokers and dealers; total miscellaneous liabilities FL663190005 385.3 341.3 310.4 364.6 341.3 330.7 338.3 357.6 310.4 17
Holding companies; unidentified miscellaneous liabilities FL733193005 -66.9 -81.6 -83.1 -88.5 -81.6 -85.2 -83.0 -78.7 -83.1 18
Funding corporations; total miscellaneous liabilities FL503190005 455.0 523.6 579.0 560.6 523.6 564.5 557.2 567.8 579.0 19
Rest of the world; total miscellaneous liabilities FL263190005 227.8 254.7 283.3 241.8 254.7 267.8 289.4 268.8 283.3 20
All sectors; total miscellaneous assets FL893090005 29481.8 29581.5 31043.8 29630.5 29581.5 30183.8 30420.6 30392.8 31043.8 21
Households and nonprofit organizations; total miscellaneous assets FL153090005 1138.8 1191.9 1259.2 1183.9 1191.9 1207.4 1217.0 1236.2 1259.2 22
Nonfinancial corporate business; total miscellaneous assets FL103090005 8076.3 8232.0 8663.7 8068.4 8232.0 8569.6 8609.2 8601.8 8663.7 23
Nonfinancial noncorporate business; total miscellaneous assets FL113090005 3728.0 4022.9 4269.5 3916.6 4022.9 4084.0 4175.7 4225.5 4269.5 24
• The piece is interrupted by quantum chemistry results:
____________
Record 1
78
Properties=species:S:1:pos:R:3 method="wB97M-V/def2-TZVPD" energy_ev=-39925.8384 e_above_lowest_kcal_mol=544.90 homo_lumo_gap_ev=8.469
O 12.381 -4.224 10.417
O 13.988 -6.419 5.784
O 6.982 -8.037 11.232
O 10.335 -6.042 7.871
O 11.634 -12.448 9.889
O 10.266 -7.350 10.698
O 11.448 -8.200 9.354
O 14.578 -9.962 10.931
O 11.793 -5.136 12.792
O 12.369 -9.549 8.104
C 12.373 -7.680 6.868
C 8.848 -8.676 12.475
C 9.306 -12.320 10.403
C 14.853 -8.337 6.670
C 10.671 -11.767 10.729
C 13.687 -7.730 6.050
C 7.951 -9.048 11.239
C 11.830 -6.555 12.642
C 12.256 -3.298 9.277
C 13.590 -9.758 8.771
C 11.147 -3.804 8.378
C 13.606 -9.290 10.196
C 11.627 -7.117 11.179
C 11.906 -1.987 10.111
C 10.326 -8.354 8.497
C 9.526 -7.029 8.345
C 10.779 -10.244 10.622
C 8.810 -8.947 9.970
H 12.066 -10.245 7.516
H 11.110 -4.878 8.194
H 8.744 -7.212 7.607
H 12.828 -1.636 10.575
H 11.005 -12.093 11.714
H 8.439 -8.741 13.483
H 9.257 -13.332 10.002
H 12.525 -12.107 9.993
H 10.133 -3.715 8.770
H 11.757 -1.208 9.364
H 12.595 -9.625 10.424
H 9.717 -9.289 12.714
H 15.106 -7.733 7.542
H 8.857 -9.929 9.501
H 10.388 -9.875 9.674
H 7.586 -10.066 11.374
H 7.592 -7.307 11.365
H 8.592 -12.332 11.226
H 12.804 -6.811 13.061
H 12.366 -6.904 7.633
H 13.203 -3.174 8.751
H 12.116 -8.630 7.338
H 14.438 -9.208 8.364
H 9.872 -8.787 10.155
H 12.136 -8.072 11.048
H 13.869 -10.810 8.698
H 11.802 -9.895 10.761
H 11.033 -4.666 12.442
H 14.792 -9.394 6.927
H 11.514 -7.353 6.283
H 11.827 -6.318 10.465
H 11.169 -6.145 8.335
H 8.976 -6.753 9.245
H 10.290 -9.746 11.458
H 11.165 -3.284 7.421
H 13.554 -8.210 10.337
H 10.769 -8.623 7.538
H 8.326 -8.342 9.203
H 13.429 -8.342 5.186
H 14.343 -10.862 11.168
H 9.613 -9.141 8.742
H 15.740 -8.231 6.046
H 8.801 -11.618 9.739
H 11.061 -2.154 10.779
H 12.031 -8.945 9.190
H 10.480 -7.603 9.797
H 14.946 -6.376 5.833
H 13.044 -4.866 10.153
H 10.999 -6.910 13.252
H 9.284 -7.683 12.367

=====

Record 2
8
Properties=species:S:1:pos:R:3 method="wB97M-V/def2-TZVPD" energy_ev=-9179.5796 e_above_lowest_kcal_mol=50.89 homo_lumo_gap_ev=10.549 smiles="O=c1nco[nH]1"
O 2.130 -0.665 -0.550
O -1.087 -0.100 0.571
N 0.147 -0.697 0.693
N 0.308 0.781 -0.931
C -0.907 0.754 -0.491
C 1.004 -0.255 -0.274
H 0.223 -1.175 1.684
H -1.817 1.358 -0.701

=====

Record 3
9
Properties=species:S:1:pos:R:3 method="wB97M-V/def2-TZVPD" energy_ev=-5691.7261 e_above_lowest_kcal_mol=34.67 homo_lumo_gap_ev=10.410 smiles="CNC=O"
O -0.628 -0.753 -1.808
N -0.402 0.126 0.343
C -1.135 -0.283 -0.780
C 1.012 0.045 0.449
H 1.234 -0.075 1.527
H -0.825 0.921 1.076
H -2.115 -0.126 -0.702
H 1.502 -0.793 -0.159
H 1.357 0.939 0.054

=====

Record 4
16
Properties=species:S:1:pos:R:3 method="wB97M-V/def2-TZVPD" energy_ev=-8864.1421 e_above_lowest_kcal_mol=116.93 homo_lumo_gap_ev=10.100 smiles=C[C@H]1N[C@H]1[C@H]1CO1
O -0.028 1.011 2.392
N 1.472 -0.806 -0.091
C -0.203 -0.024 -1.872
C -1.064 1.378 1.500
C 0.188 -0.727 0.641
C 0.194 0.738 1.001
C 0.222 -1.018 -0.810
H 1.320 0.684 0.322
H -0.081 -1.496 1.359
____________
Federal government; total miscellaneous assets FL313090005 186.2 197.0 212.0 192.3 197.0 199.4 205.4 208.8 212.0 25
State and local governments, excluding employee retirement funds; unidentified miscellaneous assets FL213093003 135.3 132.3 128.6 131.2 132.3 128.6 127.6 130.0 128.6 26
Monetary authority; total miscellaneous assets FL713090005 205.0 196.5 167.4 190.5 196.5 183.6 175.6 168.2 167.4 27
U.S.-chartered depository institutions; total miscellaneous assets FL763090005 578.6 501.1 491.9 542.2 501.1 514.9 521.6 527.1 491.9 28
Foreign banking offices in the U.S., including IBFs; unidentified miscellaneous assets FL753093005 63.3 103.2 74.5 77.1 103.2 98.0 102.9 92.8 74.5 29
Banks in U.S.-affiliated areas; unidentified miscellaneous assets FL743093005 41.6 33.9 35.5 33.0 33.9 34.2 35.2 34.7 35.5 30
Credit unions; total miscellaneous assets FL473090005 77.6 79.0 78.8 78.0 79.0 87.1 84.0 83.6 78.8 31
Property-casualty insurance companies; total miscellaneous assets FL513090005 446.3 493.9 512.9 515.7 493.9 495.0 494.2 505.3 512.9 32
Life insurance companies; total miscellaneous assets FL543090005 605.6 599.2 640.2 621.0 599.2 608.7 608.5 628.2 640.2 33
Private pension funds; total miscellaneous assets FL573090005 1889.9 1715.8 1940.8 1792.4 1715.8 1769.6 1759.1 1709.6 1940.8 34
Federal government defined benefit retirement funds; claims of pension funds on sponsor; asset FL343073045 1731.4 1718.0 1650.9 1764.1 1718.0 1726.3 1740.4 1721.5 1650.9 35
State and local government employee retirement funds; miscellaneous assets FL223090005 4581.8 4479.5 5169.7 4521.0 4479.5 4585.7 4649.6 4661.9 5169.7 36
Money market funds; unidentified miscellaneous assets FL633093005 7.3 6.6 8.1 6.2 6.6 6.2 7.3 7.2 8.1 37
Mutual funds; unidentified miscellaneous assets FL653093005 227.0 293.1 138.1 281.4 293.1 277.3 259.4 258.2 138.1 38
Exchange-traded funds; unidentified miscellaneous assets (commodity funds) LM563093003 62.8 68.9 65.9 69.0 68.9 71.7 68.9 63.4 65.9 39
Government-sponsored enterprises; unidentified miscellaneous assets FL403093005 150.7 111.0 94.9 134.6 111.0 104.6 107.0 101.0 94.9 40
Issuers of asset-backed securities; funding agreements backing securities; asset FL673090543 70.7 82.7 85.7 84.0 82.7 85.4 86.8 87.6 85.7 41
Finance companies; total miscellaneous assets FL613090005 44.7 28.6 41.8 27.3 28.6 23.4 30.8 25.7 41.8 42
Real estate investment trusts; total miscellaneous assets FL643090005 169.0 180.5 210.6 177.6 180.5 192.3 194.2 202.8 210.6 43
Security brokers and dealers; total miscellaneous assets FL663090005 734.1 721.9 691.5 774.1 721.9 723.5 723.4 734.8 691.5 44
Holding companies; total miscellaneous assets FL733090005 3698.9 3592.0 3559.5 3651.3 3592.0 3570.6 3572.0 3518.9 3559.5 45
Funding corporations; equity investment in own subsidiaries; asset FL503094505 791.0 749.6 799.2 748.7 749.6 786.2 813.8 806.1 799.2 46
Rest of the world; assumed policy payables by U.S. reinsurers from non-U.S. insurers; liability FL263076005 39.8 50.1 52.8 49.1 50.1 50.5 51.0 52.0 52.8 47
Instrument discrepancies; total miscellaneous assets FL903090005 -9727.8 -9919.2 -11366.7 -9748.0 -9919.2 -10395.4 -11033.1 -11048.9 -11366.7 48

Last Update: March 7, 2019